Beanie Baby

Beanie Baby

11 lbs (small)
Status: Adopted

Hold onto your hat (and heart), here comes Beanie Baby! This foxy delight is peppy, friendly and fun, a fancy dancer chock full of wiggly wagginess. Her coat has seen better days, but with some TLC it’ll surely improve. Our Beanie Baby is just as cute and lovable as her namesake, but she’ll hold her value furrever!

These records of crystals were left in the piece by mistake >
No. 1
Computed, not measured: a relaxed structure of SmGaPd2 at the r2SCAN level of DFT.

a = 7.501 Å, b = 7.074 Å, c = 5.664 Å
α = 90.00°, β = 90.00°, γ = 90.00°
Atoms (fractional coordinates):
Sm: 0.033 0.250 0.148
Sm: 0.467 0.750 0.648
Sm: 0.533 0.250 0.352
Sm: 0.967 0.750 0.852
Ga: 0.118 0.750 0.351
Ga: 0.382 0.250 0.851
Ga: 0.618 0.750 0.149
Ga: 0.882 0.250 0.649
Pd: 0.179 0.052 0.588
Pd: 0.179 0.448 0.588
Pd: 0.321 0.552 0.088
Pd: 0.321 0.948 0.088
Pd: 0.679 0.052 0.912
Pd: 0.679 0.448 0.912
Pd: 0.821 0.552 0.412
Pd: 0.821 0.948 0.412

Properties
Space-group type: No. 62
M_tot: 0.00 Bohr magnetons per cell

=====

No. 2
Computed, not measured: a relaxed structure of SmGa2Pd2 at the r2SCAN level of DFT.

a = 4.208 Å, b = 4.208 Å, c = 10.537 Å
α = 90.00°, β = 90.00°, γ = 90.00°
Atoms (fractional coordinates):
Sm: 0.000 0.000 0.000
Sm: 0.500 0.500 0.500
Ga: 0.000 0.000 0.380
Ga: 0.000 0.000 0.620
Ga: 0.500 0.500 0.120
Ga: 0.500 0.500 0.880
Pd: 0.000 0.500 0.250
Pd: 0.000 0.500 0.750
Pd: 0.500 0.000 0.250
Pd: 0.500 0.000 0.750

Properties
Space-group type: No. 139
M_tot: 0.00 Bohr magnetons per cell

=====

No. 3
Computed, not measured: a relaxed structure of TbGaPd2 at the r2SCAN level of DFT.

a = 7.373 Å, b = 7.082 Å, c = 5.589 Å
α = 90.00°, β = 90.00°, γ = 90.00°
Atoms (fractional coordinates):
Tb: 0.031 0.250 0.145
Tb: 0.469 0.750 0.645
Tb: 0.531 0.250 0.355
Tb: 0.969 0.750 0.855
Ga: 0.116 0.750 0.355
Ga: 0.384 0.250 0.855
Ga: 0.616 0.750 0.145
Ga: 0.884 0.250 0.645
Pd: 0.182 0.052 0.588
Pd: 0.182 0.448 0.588
Pd: 0.318 0.552 0.088
Pd: 0.318 0.948 0.088
Pd: 0.682 0.052 0.912
Pd: 0.682 0.448 0.912
Pd: 0.818 0.552 0.412
Pd: 0.818 0.948 0.412

Properties
Space-group type: No. 62
M_tot: 0.00 Bohr magnetons per cell

=====

No. 4
Computed, not measured: a relaxed structure of TbGaPd at the r2SCAN level of DFT.

a = 6.974 Å, b = 4.467 Å, c = 7.550 Å
α = 90.00°, β = 90.00°, γ = 90.00°
Atoms (fractional coordinates):
Tb: 0.018 0.250 0.199
Tb: 0.482 0.750 0.699
Tb: 0.518 0.250 0.301
Tb: 0.982 0.750 0.801
Ga: 0.177 0.250 0.577
Ga: 0.323 0.750 0.077
Ga: 0.677 0.250 0.923
Ga: 0.823 0.750 0.423
Pd: 0.215 0.750 0.405
Pd: 0.285 0.250 0.905
Pd: 0.715 0.750 0.095
Pd: 0.785 0.250 0.595

Properties
Space-group type: No. 62
M_tot: 0.00 Bohr magnetons per cell

=====

No. 5
Computed, not measured: a relaxed structure of TbGa2Pd at the r2SCAN level of DFT.

a = 4.424 Å, b = 10.126 Å, c = 6.559 Å
α = 90.00°, β = 90.00°, γ = 90.00°
Atoms (fractional coordinates):
Tb: 0.000 0.089 0.250
Tb: 0.000 0.911 0.750
Tb: 0.500 0.411 0.750
Tb: 0.500 0.589 0.250
Ga: 0.000 0.373 0.055
Ga: 0.000 0.373 0.445
Ga: 0.000 0.627 0.555
Ga: 0.000 0.627 0.945
Ga: 0.500 0.127 0.555
Ga: 0.500 0.127 0.945
Ga: 0.500 0.873 0.055
Ga: 0.500 0.873 0.445
Pd: 0.000 0.200 0.750
Pd: 0.000 0.800 0.250
Pd: 0.500 0.300 0.250
Pd: 0.500 0.700 0.750

Properties
Space-group type: No. 63
M_tot: 0.00 Bohr magnetons per cell

=====

No. 6


Beanie Baby has been settling in nicely! It’s taking her a little time to warm up, but what can you expect from a little dog who was living alone on the streets?!

She has only gone pee in the house twice and that was the first night and she made it onto the pee pads. What a good girl!

She does not require a lot of potty breaks; we take her about 3 or 4 times daily and that’s so she can also get her exercise by walking.

Beanie Baby can handle stairs just fine, although sometimes I carry her down as she seems to want that. She can also easily jump up and down from the couch. She’s pretty good on the leash, although she has a tiny learning curve to understand what it is all about. She does not like having the leash or harness put on her at all, but we are working on that and she is getting better about it every day. She does not mind the noise on our street.

At night, Beanie sleeps in a little doggie bed right next to our bed and she sleeps the whole night through! She likes to be in whatever room we are in. I have not left her alone yet so not sure how she is with separation although we will test that soon.

She definitely likes to be held; I can even hold her like a baby for a short period of time. She also likes having her hind quarters scritched! She’s affectionate but is not overly needy of it. Most times, she will wait for you to invite her onto your lap for snuggles and belly rubs – what a well mannered little lady!

If we go into the kitchen to make food, she will follow us in there to supervise. However, if I direct her back up onto the couch, she will easily follow my directions. She LOVES cheese, but other treats she will not take from my hand. However, if I set one down, she will go grab it and take it into one of her beds to enjoy.

== Someone pasted data records at this point ==
# 1
# PBE Sr2Mg, relaxed
data_Sr2Mg
_cell_length_a 7.5476
_cell_length_b 7.5476
_cell_length_c 8.7668
_cell_angle_alpha 100.90
_cell_angle_beta 100.90
_cell_angle_gamma 32.75
_space_group_name_H-M_alt 'P 1'
_space_group_IT_number 1
_space_group_name_Hall 'P 1'
loop_
_atom_site_label
_atom_site_fract_x
_atom_site_fract_y
_atom_site_fract_z
_atom_site_occupancy
Sr1 0.0000 0.0000 0.0000 1
Sr2 0.0452 0.0452 0.5485 1
Sr3 0.3289 0.3289 0.6624 1
Sr4 0.7021 0.7021 0.2893 1
Mg1 0.3912 0.3912 0.2446 1
Mg2 0.7126 0.7126 0.8908 1
# energy relative to the elements = 0.09 eV/atom

# 2
# PBE Ga3Sb7S8Cl14, relaxed
data_Ga3Sb7S8Cl14
_cell_length_a 8.9996
_cell_length_b 12.2976
_cell_length_c 17.4686
_cell_angle_alpha 90.00
_cell_angle_beta 93.12
_cell_angle_gamma 90.00
_space_group_name_H-M_alt 'P 1'
_space_group_IT_number 1
_space_group_name_Hall 'P 1'
loop_
_atom_site_label
_atom_site_fract_x
_atom_site_fract_y
_atom_site_fract_z
_atom_site_occupancy
Ga1 0.2200 0.0000 0.0368 1
Ga2 0.2339 0.9892 0.4700 1
Ga3 0.2668 0.4766 0.2642 1
Ga4 0.7332 0.9766 0.7358 1
Ga5 0.7661 0.4892 0.5300 1
Ga6 0.7800 0.5000 0.9632 1
Sb1 0.0624 0.2141 0.8492 1
Sb2 0.0721 0.7609 0.6561 1
Sb3 0.1850 0.4881 0.7553 1
Sb4 0.2510 0.2069 0.6555 1
Sb5 0.2562 0.7725 0.8593 1
Sb6 0.4533 0.2820 0.8527 1
Sb7 0.4621 0.6928 0.6755 1
Sb8 0.5379 0.1928 0.3245 1
Sb9 0.5467 0.7820 0.1473 1
Sb10 0.7438 0.2725 0.1407 1
Sb11 0.7490 0.7069 0.3445 1
Sb12 0.8150 0.9881 0.2447 1
Sb13 0.9279 0.2609 0.3439 1
Sb14 0.9376 0.7141 0.1508 1
S1 0.0238 0.2798 0.7130 1
S2 0.0275 0.6972 0.7905 1
S3 0.2220 0.3789 0.8932 1
S4 0.2321 0.5977 0.6195 1
S5 0.2994 0.1171 0.8260 1
S6 0.3106 0.8581 0.6930 1
S7 0.4119 0.6103 0.8092 1
S8 0.4125 0.3668 0.7173 1
S9 0.5875 0.8668 0.2827 1
S10 0.5881 0.1103 0.1908 1
S11 0.6894 0.3581 0.3070 1
S12 0.7006 0.6171 0.1740 1
S13 0.7679 0.0977 0.3805 1
S14 0.7780 0.8789 0.1068 1
S15 0.9725 0.1972 0.2095 1
S16 0.9762 0.7798 0.2870 1
Cl1 0.0190 0.4877 0.2466 1
Cl2 0.0460 0.9371 0.9542 1
Cl3 0.0604 0.0359 0.5496 1
Cl4 0.1617 0.0469 0.3520 1
Cl5 0.1836 0.9308 0.1522 1
Cl6 0.1948 0.3214 0.5466 1
Cl7 0.2141 0.1776 0.0380 1
Cl8 0.2224 0.6663 0.9740 1
Cl9 0.2632 0.8132 0.4712 1
Cl10 0.3118 0.3990 0.3757 1
Cl11 0.3478 0.6470 0.2626 1
Cl12 0.3611 0.3757 0.1757 1
Cl13 0.4406 0.0780 0.5020 1
Cl14 0.4410 0.9454 0.0023 1
Cl15 0.5590 0.4454 0.9977 1
Cl16 0.5594 0.5780 0.4980 1
Cl17 0.6389 0.8757 0.8243 1
Cl18 0.6522 0.1470 0.7374 1
Cl19 0.6882 0.8990 0.6243 1
Cl20 0.7368 0.3132 0.5288 1
Cl21 0.7776 0.1663 0.0260 1
Cl22 0.7859 0.6776 0.9620 1
Cl23 0.8052 0.8214 0.4534 1
Cl24 0.8164 0.4308 0.8478 1
Cl25 0.8383 0.5469 0.6480 1
Cl26 0.9396 0.5359 0.4504 1
Cl27 0.9540 0.4371 0.0458 1
Cl28 0.9810 0.9877 0.7534 1
# energy relative to the elements = -1.12 eV/atom

# 3
# PBE Lu3NbO7, relaxed
data_Lu3NbO7
_cell_length_a 8.0251
_cell_length_b 5.2539
_cell_length_c 7.3940
_cell_angle_alpha 90.00
_cell_angle_beta 117.31
_cell_angle_gamma 90.00
_space_group_name_H-M_alt 'P 1'
_space_group_IT_number 1

I haven’t seen her around other dogs yet, I’m going to test her soon with that. My cat she was very interested in, but if I tell her "leave it she’s good about redirecting her attention. I think it may help that my cat is bigger than her and hissed at her once to let her know not to mess around!

While I cannot say Beanie loves baths, she will tolerate them fine with plenty of reassurance.

She has only alert barked a couple of times when people were in our backyard. They are cute little "woof type barks followed by a real bark (not piercing though, just little old lady barks).

All around she is such an amazing little sweetheart. I let her know that she may have gotten lost, but her time to be a princess is now. I think she is very happy about that!!

Beanie Baby Beanie Baby Beanie Baby Beanie Baby Beanie Baby Beanie Baby Beanie Baby Beanie Baby Beanie Baby Beanie Baby